Listing
<<<
No. 1
This record from Alexandria via LeMat-Bulk describes an optimized crystal structure of InHg2CBr. The functional is PBE-GGA.

a b c (Å): 4.6951 4.6951 5.4886
angles (deg): 90.00 90.00 90.00
Space group P4/mmm (No. 123)
Symmetry-distinct sites (fractional):
In  0.0000  0.0000  0.0000 [1 per cell]
Hg  0.0000  0.5000  0.5000 [2 per cell]
C  0.0000  0.0000  0.5000 [1 per cell]
Br  0.5000  0.5000  0.0000 [1 per cell]

Excess energy over the best structure of this formula in the dataset   0.000 eV per atom
Energy relative to the elements, uncorrected   0.5897 eV/atom

---

No. 2
This record from Alexandria via LeMat-Bulk describes an optimized crystal structure of NdSm3Dy7. The functional is PBE-GGA.

a b c (Å): 7.0837 7.0837 8.6825
angles (deg): 90.00 90.00 120.00
Space group P3m1 (No. 156)
Symmetry-distinct sites (fractional):
Nd  0.0000  0.0000  0.0000 [1 per cell]
Sm  0.1671  0.3341  0.3389 [3 per cell]
Dy  0.0021  0.5010  0.0013 [3 per cell]
Dy  0.3320  0.1660  0.6728 [3 per cell]
Dy  0.3333  0.6667  0.6759 [1 per cell]

Excess energy over the best structure of this formula in the dataset   0.041 eV per atom
E_form   0.183 eV/atom

---

No. 3
This record from Alexandria via LeMat-Bulk describes an optimized crystal structure of BaBeAu. The functional is PBE-GGA.

a b c (Å): 4.1701 4.1701 5.1237
angles (deg): 90.00 90.00 120.00
Space group P-6m2 (No. 187)
Symmetry-distinct sites (fractional):
Ba  0.0000  0.0000  0.0000 [1 per cell]
Be  0.6667  0.3333  0.5000 [1 per cell]
Au  0.3333  0.6667  0.5000 [1 per cell]

Excess energy over the best structure of this formula in the dataset   0.000 eV per atom
E_form   -0.223 eV/atom

---

No. 4
This record from Alexandria via LeMat-Bulk describes an optimized crystal structure of BaSc2Cl. The functional is PBE-GGA.

a b c (Å): 5.9986 12.7549 3.5427
angles (deg): 90.00 90.00 90.00
Space group Cmmm (No. 65)
Symmetry-distinct sites (fractional):
Ba  0.0000  0.0000  0.0000 [2 per cell]
Sc  0.2500  0.2500  0.5000 [4 per cell]
Cl  0.0000  0.5000  0.0000 [2 per cell]

Excess energy over the best structure of this formula in the dataset   0.495 eV per atom
Energy relative to the elements, uncorrected   -0.0001 eV/atom

---

No. 5
This record from Alexandria via LeMat-Bulk describes an optimized crystal structure of Dy2ErHg2. The functional is PBE-GGA.

a b c (Å): 8.4257 8.4257 3.8406
angles (deg): 90.00 90.00 90.00
Space group P4/mbm (No. 127)
Symmetry-distinct sites (fractional):
Dy  0.1665  0.3335  0.0000 [4 per cell]
Er  0.0000  0.0000  0.5000 [2 per cell]
Hg  0.1331  0.6331  0.5000 [4 per cell]

E_form   -0.384 eV/atom

---

No. 6
This record from Alexandria via LeMat-Bulk describes an optimized crystal structure of Pr2LuZn. The functional is PBE-GGA.

a b c (Å): 3.6813 3.6813 8.6636
angles (deg): 90.00 90.00 90.00
Space group P4/mmm (No. 123)
Symmetry-distinct sites (fractional):
Pr  0.0000  0.0000  0.2153 [2 per cell]
Lu  0.5000  0.5000  0.5000 [1 per cell]
Zn  0.5000  0.5000  0.0000 [1 per cell]

Excess energy over the best structure of this formula in the dataset   0.000 eV per atom
E_form   -0.122 eV/atom

---

No. 7
This record from Alexandria via LeMat-Bulk describes an optimized crystal structure of ZnFe3. The functional is PBE-GGA.

a b c (Å): 8.4990 2.5030 4.6112
angles (deg): 90.00 97.05 90.00
Space group C2/m (No. 12)
Symmetry-distinct sites (fractional):
Zn  0.0000  0.0000  0.0000 [2 per cell]
Fe  0.0000  0.5000  0.5000 [2 per cell]
Fe  0.2490  0.5000  0.2526 [4 per cell]

E_form   0.069 eV/atom

---

No. 8
This record from Alexandria via LeMat-Bulk describes an optimized crystal structure of SmHoCdHg. The functional is PBE-GGA.

a b c (Å): 7.5199 7.5199 7.5199
angles (deg): 90.00 90.00 90.00
Space group F-43m (No. 216)
Symmetry-distinct sites (fractional):
Sm  0.0000  0.0000  0.0000 [4 per cell]
Ho  0.0000  0.0000  0.5000 [4 per cell]
Cd  0.2500  0.2500  0.2500 [4 per cell]
Hg  0.2500  0.2500  0.7500 [4 per cell]

E_form   -0.389 eV/atom

---

No. 9
>>>

Wanted
Next, echo the whole of the rows further above exactly.

Response
No. 1
This record from Alexandria via LeMat-Bulk describes an optimized crystal structure of InHg2CBr. The functional is PBE-GGA.

a b c (Å): 4.6951 4.6951 5.4886
angles (deg): 90.00 90.00 90.00
Space group P4/mmm (No. 123)
Symmetry-distinct sites (fractional):
In  0.0000  0.0000  0.0000 [1 per cell]
Hg  0.0000  0.5000  0.5000 [2 per cell]
C  0.0000  0.0000  0.5000 [1 per cell]
Br  0.5000  0.5000  0.0000 [1 per cell]

Excess energy over the best structure of this formula in the dataset   0.000 eV per atom
Energy relative to the elements, uncorrected   0.5897 eV/atom

---

No. 2
This record from Alexandria via LeMat-Bulk describes an optimized crystal structure of NdSm3Dy7. The functional is PBE-GGA.

a b c (Å): 7.0837 7.0837 8.6825
angles (deg): 90.00 90.00 120.00
Space group P3m1 (No. 156)
Symmetry-distinct sites (fractional):
Nd  0.0000  0.0000  0.0000 [1 per cell]
Sm  0.1671  0.3341  0.3389 [3 per cell]
Dy  0.0021  0.5010  0.0013 [3 per cell]
Dy  0.3320  0.1660  0.6728 [3 per cell]
Dy  0.3333  0.6667  0.6759 [1 per cell]

Excess energy over the best structure of this formula in the dataset   0.041 eV per atom
E_form   0.183 eV/atom

---

No. 3
This record from Alexandria via LeMat-Bulk describes an optimized crystal structure of BaBeAu. The functional is PBE-GGA.

a b c (Å): 4.1701 4.1701 5.1237
angles (deg): 90.00 90.00 120.00
Space group P-6m2 (No. 187)
Symmetry-distinct sites (fractional):
Ba  0.0000  0.0000  0.0000 [1 per cell]
Be  0.6667  0.3333  0.5000 [1 per cell]
Au  0.3333  0.6667  0.5000 [1 per cell]

Excess energy over the best structure of this formula in the dataset   0.000 eV per atom
E_form   -0.223 eV/atom

---

No. 4
This record from Alexandria via LeMat-Bulk describes an optimized crystal structure of BaSc2Cl. The functional is PBE-GGA.

a b c (Å): 5.9986 12.7549 3.5427
angles (deg): 90.00 90.00 90.00
Space group Cmmm (No. 65)
Symmetry-distinct sites (fractional):
Ba  0.0000  0.0000  0.0000 [2 per cell]
Sc  0.2500  0.2500  0.5000 [4 per cell]
Cl  0.0000  0.5000  0.0000 [2 per cell]

Excess energy over the best structure of this formula in the dataset   0.495 eV per atom
Energy relative to the elements, uncorrected   -0.0001 eV/atom

---

No. 5
This record from Alexandria via LeMat-Bulk describes an optimized crystal structure of Dy2ErHg2. The functional is PBE-GGA.

a b c (Å): 8.4257 8.4257 3.8406
angles (deg): 90.00 90.00 90.00
Space group P4/mbm (No. 127)
Symmetry-distinct sites (fractional):
Dy  0.1665  0.3335  0.0000 [4 per cell]
Er  0.0000  0.0000  0.5000 [2 per cell]
Hg  0.1331  0.6331  0.5000 [4 per cell]

E_form   -0.384 eV/atom

---

No. 6
This record from Alexandria via LeMat-Bulk describes an optimized crystal structure of Pr2LuZn. The functional is PBE-GGA.

a b c (Å): 3.6813 3.6813 8.6636
angles (deg): 90.00 90.00 90.00
Space group P4/mmm (No. 123)
Symmetry-distinct sites (fractional):
Pr  0.0000  0.0000  0.2153 [2 per cell]
Lu  0.5000  0.5000  0.5000 [1 per cell]
Zn  0.5000  0.5000  0.0000 [1 per cell]

Excess energy over the best structure of this formula in the dataset   0.000 eV per atom
E_form   -0.122 eV/atom

---

No. 7
This record from Alexandria via LeMat-Bulk describes an optimized crystal structure of ZnFe3. The functional is PBE-GGA.

a b c (Å): 8.4990 2.5030 4.6112
angles (deg): 90.00 97.05 90.00
Space group C2/m (No. 12)
Symmetry-distinct sites (fractional):
Zn  0.0000  0.0000  0.0000 [2 per cell]
Fe  0.0000  0.5000  0.5000 [2 per cell]
Fe  0.2490  0.5000  0.2526 [4 per cell]

E_form   0.069 eV/atom

---

No. 8
This record from Alexandria via LeMat-Bulk describes an optimized crystal structure of SmHoCdHg. The functional is PBE-GGA.

a b c (Å): 7.5199 7.5199 7.5199
angles (deg): 90.00 90.00 90.00
Space group F-43m (No. 216)
Symmetry-distinct sites (fractional):
Sm  0.0000  0.0000  0.0000 [4 per cell]
Ho  0.0000  0.0000  0.5000 [4 per cell]
Cd  0.2500  0.2500  0.2500 [4 per cell]
Hg  0.2500  0.2500  0.7500 [4 per cell]

E_form   -0.389 eV/atom

---

No. 9